Rain Gauge Boundaries
InfoWorks ICM supports spatially varying rainfall by the use of rain gauge boundaries which define which region is covered by a particular rain gauge. Boundaries are imported or digitised onto the GeoPlan View and then associated with a Rainfall Event. InfoWorks ICM can then apply the correct rain gauge to subcatchments and 2D Mesh elements falling within the rain gauge boundaries.

Rain gauge boundaries can be created automatically in InfoWorks ICM using the Thiessen Polygon method.

- Create a new polygon to act as a bounding polygon within which the rain gauge boundaries are to be defined.
- Define rain gauge locations by:
- Selecting Rain gauge data | Import from map data from the GeoPlan menu to import rain gauges from GIS.
- Creating new rain gauges using the New Object
button and ensuring that the 'Rain gauge' option is selected in the New Object Type combo box on the GeoPlan Tools toolbar: click on the location of the rain gauge in the GeoPlan View and type in a profile number for the rain gauge.
To 'move' a rain gauge; create a new rain gauge with the profile number of the rain gauge to be moved. The old point will be removed, and a new point will be created at the location clicked on in the GeoPlan View.
- Select Rain gauge data | Generate boundaries from the GeoPlan menu. Rain gauge boundaries will be generated using the Thiessen Polygon Method.
- Save the rain gauge boundaries by associating the boundaries with a Rainfall Event.

- Create a new polygon to act as a bounding polygon within which the rain gauge boundaries are to be defined.
- Define rain gauge locations by:
- Selecting Rain gage data | Import from map data from the GeoPlan menu to import rain gages from GIS.
- Creating new rain gages using the New Object
button and the New Object Type combo box on the GeoPlan Tools toolbar to add rain gage types of Point objects. In the rain gage properties, ensure that the appropriate profile number is added to the Rainfall profile field and that the name of the rain gage is specified in the Rain gage ID field.
- Select Rain gage data | Generate boundaries from the GeoPlan menu. Rain gauge boundaries will be generated using the Thiessen Polygon Method.
- Save the rain gauge boundaries by associating the boundaries with a Rainfall Event.

The process of importing rain gauge boundary data is the same regardless of the GIS component being used in the GeoPlan Window. The file containing the data to import must included specific fields that are detailed below.
ArcGIS Desktop, ArcGIS Engine and MapXtreme
Rain gauge boundary data can be imported from a theme or layer containing rain gauge boundaries appropriately coded so they can be associated with rainfall profiles in InfoWorks ICM. The layer for import must include a field named "PROFILE" of type, Number.
The profile numbers in the theme / layer must match the profile numbers in the rainfall events to which the boundaries are to be associated.
Rain gauge boundary data can be imported from a MapInfo table containing rain gauge boundaries appropriately coded so they can be associated with rainfall profiles in InfoWorks ICM. The table for import must include a field of type Integer, that contains the profile numbers of the rainfall events to which the boundaries are to be associated.
To import rain gauge boundaries:
- From the GeoPlan menu, select:
- Rain gauge data | Import from map data for InfoWorks networks
- Rain gage data | Import from map data for SWMM networks
This displays the Import Raingauge Boundary dialog.
- Select the layer containing the rain gauge boundary data to be imported.
- The dropdown list contains all the layers currently loaded that contain valid rain gauge boundary data.
- Click the Change Layers button to display the GIS Layer Control dialog to add the layer containing rain gauge boundary data if it is not currently loaded on the GeoPlan.
- Click on OK on the Layer Control dialog to commit your changes.
- Check the Remove layer after import box to remove the layer from the GeoPlan after the polygons have been imported.
- Click on Import.
The boundary data is now imported as a temporary boundary layer on the GeoPlan View. The next task is to assign these boundaries to one or more rainfall events. Details on how to continue can be found in Associating Rain Gauge Regions with a Rainfall Event.

To associate rain gauge boundaries with a Rainfall Event:
- From the GeoPlan menu, select:
- Rain gauge data | Save to rainfall event for InfoWorks networks
- Rain gage data | Save to rainfall event for SWMM networks
This displays the Common Tree Selection dialog.
- Choose the rainfall event to which to save the boundary data and click Open.
InfoWorks ICM uses the rain gauge profile number to apply the boundary data to the rainfall event. If there is a profile in the rainfall event with a profile number that matches a rainfall boundary, the boundary information is added to the Gauge data field for the profile.
All profiles in the event must have boundary information before spatial rainfall can be used in simulations. Simulations will fail if there are profiles without boundary information.
Simulations will fail if subcatchment centroids fall outside of the defined rain gauge boundaries.
To check that rain gauge boundaries have been saved correctly:
- Remove the existing temporary rain gauge layer by choosing from the GeoPlan menu:
- Rain gauge data | Clear for InfoWorks networks
- Rain gage data | Clear for SWMM networks
- Drag and drop the rainfall event containing boundary data from the Master Database Window onto the GeoPlan View. The boundaries stored in the rainfall event are displayed. If the event has too few profiles, some of the original boundaries will be missing.

Next to the article, the page also holds calculated crystals:
'''
# 1
Calculated powder XRD pattern of Y3Er5 for copper Kα, from a structure optimized by DFT (GGA-PBE).
Peak positions follow from Bragg's law for the DFT cell and can differ from measured ones.

Top 6 peaks for 2θ = 10–90°, sorted by position:
| 2theta | I (rel.) |
| --- | --- |
| 28.60 | 27 |
| 32.00 | 24 |
| 32.86 | 100 |
| 50.66 | 20 |
| 57.58 | 20 |
| 61.18 | 22 |

Structure:
a b c (Å): 7.2080 7.2080 5.5936
angles (deg): 90.00 90.00 120.00
Sites, in units of the cell vectors:
Y 0.0002 0.5001 0.0000
Y 0.4999 0.9998 0.0000
Y 0.4999 0.5001 0.0000
Er 0.0000 0.0000 0.0000
Er 0.3320 0.1660 0.5000
Er 0.3333 0.6667 0.5000
Er 0.8340 0.1660 0.5000
Er 0.8340 0.6680 0.5000

=====

# 2
Calculated powder XRD pattern of Y5Er3 for copper Kα, from a structure optimized by DFT (GGA-PBE).
Peak positions follow from Bragg's law for the DFT cell and can differ from measured ones.

Top 6 peaks for 2θ = 10–90°, sorted by position:
| 2theta | I (rel.) |
| --- | --- |
| 28.47 | 24 |
| 31.87 | 24 |
| 32.71 | 100 |
| 50.41 | 20 |
| 57.32 | 20 |
| 60.88 | 22 |

Structure:
a b c (Å): 5.6168 7.2411 12.5416
angles (deg): 90.00 90.00 90.00
Sites, in units of the cell vectors:
Y 0.0000 0.0000 0.0000
Y 0.0000 0.2497 0.2485
Y 0.0000 0.2503 0.7485
Y 0.0000 0.5000 0.5000
Y 0.0000 0.7503 0.2485
Y 0.0000 0.7497 0.7485
Y 0.5000 0.2491 0.4165
Y 0.5000 0.2509 0.9165
Y 0.5000 0.7491 0.9165
Y 0.5000 0.7509 0.4165
Er 0.0000 0.0000 0.5000
Er 0.0000 0.5000 0.0000
Er 0.5000 0.0000 0.1657
Er 0.5000 0.0000 0.6653
Er 0.5000 0.5000 0.1653
Er 0.5000 0.5000 0.6657

=====

# 3
Calculated powder XRD pattern of Er6Zn23 for copper Kα, from a structure optimized by DFT (GGA-PBE).
Peak positions follow from Bragg's law for the DFT cell and can differ from measured ones.

Top 6 peaks for 2θ = 10–90°, sorted by position:
| 2theta | I (rel.) |
| --- | --- |
| 30.99 | 20 |
| 34.94 | 30 |
| 37.14 | 85 |
| 40.57 | 100 |
| 43.15 | 18 |
| 62.66 | 23 |

Structure:
a b c (Å): 8.8953 8.8953 8.8953
angles (deg): 60.00 60.00 60.00
Sites, in units of the cell vectors:
Er 0.2045 0.2045 0.7955
Er 0.2045 0.7955 0.2045
Er 0.2045 0.7955 0.7955
Er 0.7955 0.2045 0.2045
Er 0.7955 0.2045 0.7955
Er 0.7955 0.7955 0.2045
Zn 0.0000 0.0000 0.5000
Zn 0.0000 0.5000 0.0000
Zn 0.0000 0.5000 0.5000
Zn 0.1325 0.6225 0.6225
Zn 0.1704 0.1704 0.1704
Zn 0.1704 0.1704 0.4888
Zn 0.1704 0.4888 0.1704
Zn 0.3775 0.3775 0.3775
Zn 0.3775 0.3775 0.8675
Zn 0.3775 0.8675 0.3775
Zn 0.4888 0.1704 0.1704
Zn 0.5000 0.0000 0.0000
Zn 0.5000 0.0000 0.5000
Zn 0.5000 0.5000 0.0000
Zn 0.5000 0.5000 0.5000
Zn 0.5112 0.8296 0.8296
Zn 0.6225 0.1325 0.6225
Zn 0.6225 0.6225 0.1325
Zn 0.6225 0.6225 0.6225
Zn 0.8296 0.5112 0.8296
Zn 0.8296 0.8296 0.5112
Zn 0.8296 0.8296 0.8296
Zn 0.8675 0.3775 0.3775

=====

# 4
Calculated powder XRD pattern of Er2Zn17 for copper Kα, from a structure optimized by DFT (GGA-PBE).
Peak positions follow from Bragg's law for the DFT cell and can differ from measured ones.

Top 6 peaks for 2θ = 10–90°, sorted by position:
'''

Rain Gauge boundary data associated with a rainfall event can be loaded onto the GeoPlan Window and then saved to a different rainfall event.
To copy rain gauge boundary information between rainfall events:
- Open an InfoWorks or SWMM network in the GeoPlan View.
- Drag and drop the rainfall event containing boundary data from the Master Database Window onto the GeoPlan View. The boundaries stored in the rainfall event are displayed.
- Now you can store the rain gauge boundaries in another rainfall event. Continue as described in the associating rain gauge data section.
As an alternative to stage 2 above:
- From the GeoPlan menu, select:
- Rain gauge data | Load from rainfall event for InfoWorks networks
- Rain gage data | Load from rainfall event for SWMM networks
- Select a rainfall event that you have already associated with rain gauge regions and click on the Open button. The boundaries stored in the rainfall event are displayed.

The temporary boundary layer that contains imported regions can be removed from the GeoPlan Window by choosing, from the GeoPlan menu:
- Rain gauge data | Load from rainfall event for InfoWorks networks
- Rain gage data | Load from rainfall event for SWMM networks
When the GeoPlan View is closed the temporary layer will be removed automatically and will not be shown next time the network is opened.